24 JANUARY 1964, Page 21


The Strangers on My Roof. By E. Arnot Robertson. (Cresset Press, I8s.) The Snow Ball. By Brigid Brophy. (Seeker and Warburg, los.) Sleep Till Noon Day. By Richard Purslow. (Heinemann, 18s.)

# Materials data from another source follow
+++
(1)
Material: CuBRh2Pb
Method: DFT, PBE-GGA
State: relaxed

abc: 4.201 4.201 4.153
angles: 90.00 90.00 90.00
Sites, in units of the cell vectors:
Pb1 0.500 0.500 0.500
Rh1 0.000 0.500 0.000
Rh2 0.500 0.000 0.000
B1 0.000 0.000 0.000
Cu1 0.000 0.000 0.500

Summary:
ΔE_f (eV/atom): -0.0422
Space-group type: P4/mmm (123)
Total DFT energy (no corrections) (eV per formula unit): -29.40


(2)
Material: MnVTc
Method: DFT, PBE-GGA
State: relaxed

abc: 5.123 4.226 8.923
angles: 90.00 125.16 90.00
Sites, in units of the cell vectors:
V1 0.170 0.500 0.867
V2 0.170 0.000 0.367
V3 0.498 0.000 0.034
V4 0.498 0.500 0.534
Mn1 0.002 0.000 0.034
Mn2 0.002 0.500 0.534
Mn3 0.338 0.500 0.201
Mn4 0.338 0.000 0.701
Tc1 0.667 0.500 0.862
Tc2 0.841 0.500 0.199
Tc3 0.841 0.000 0.699
Tc4 0.667 0.000 0.362

Summary:
ΔE_f (eV/atom): -0.1167
Space-group type: Cm (8)
Total DFT energy (no corrections) (eV per formula unit): -29.00


(3)
Material: TlInHg2Br4
Method: DFT, PBE-GGA
State: relaxed

abc: 7.794 9.486 9.695
angles: 136.32 127.39 80.55
Sites, in units of the cell vectors:
Br1 0.354 0.757 0.224
Br2 0.105 0.097 0.819
Br3 0.728 0.366 0.083
Br4 0.747 0.689 0.699
Hg1 0.263 0.412 0.592
Hg2 0.702 0.027 0.191
In1 0.731 0.714 0.449
Tl1 0.757 0.325 0.718

Summary:
Space-group type: P1 (1)
Total DFT energy (no corrections) (eV per formula unit): -17.23
ΔE_f (raw) (eV/atom): -0.6039


(4)
Material: NbOsC3
Method: DFT, PBE-GGA
State: relaxed

abc: 4.070 4.070 4.070
angles: 90.00 90.00 90.00
Sites, in units of the cell vectors:
Nb1 0.000 0.000 0.000
C1 0.000 0.000 0.500
C2 0.000 0.500 0.000
C3 0.500 0.000 0.000
Os1 0.500 0.500 0.500

Summary:
ΔE_f (eV/atom): 2.7425
Space-group type: Pm-3m (221)
Total DFT energy (no corrections) (eV per formula unit): -35.26


(5)
Material: NaZrOsO6
Method: DFT, PBE-GGA
State: relaxed

abc: 5.093 5.392 5.392
angles: 120.00 90.00 90.00
Sites, in units of the cell vectors:
O1 0.289 0.305 0.279
O2 0.711 0.305 0.026
O3 0.289 0.974 0.695
O4 0.711 0.974 0.279
O5 0.289 0.721 0.026
O6 0.711 0.721 0.695
Os1 0.500 0.000 0.000
Na1 0.000 0.333 0.667
Zr1 0.500 0.667 0.333

Summary:
Space-group type: P312 (149)
Total DFT energy (no corrections) (eV per formula unit): -66.96
ΔE_f (raw) (eV/atom): -1.7907


(6)
Material: Mg2FeAs
Method: DFT, PBE-GGA
State: relaxed

abc: 3.736 3.840 5.415
angles: 69.29 90.00 90.00
Sites, in units of the cell vectors:
Mg1 0.000 0.973 0.930
Mg2 0.500 0.279 0.316
As1 0.000 0.693 0.489
Fe1 0.500 0.555 0.765

Summary:
ΔE_f (eV/atom): -0.0885
Space-group type: Amm2 (38)
Total DFT energy (no corrections) (eV per formula unit): -16.66

* * * * *

DFT (PBE) results for HfNpCoTc after structural relaxation.

Computed properties:
The calculated formation energy comes out at -2.000 kcal/mol of atoms. For the total energy, the calculation gives -40.713 eV/f.u. The symmetry is F-43m (216).

```
HfNpCoTc
1.0
4.626 0.000 0.000
2.313 4.007 0.000
2.313 1.336 3.777
Tc Hf Np Co
1 1 1 1
Direct
0.750 0.750 0.750
0.500 0.500 0.500
0.000 0.000 0.000
+++

ON his death, the achievement of every writer is acknowledged with conventional regrets; the reappraisal that follows (after a decent interval) is often much less kind. In the case of Miss Arnot _Robertson, I am inclined to predict a renewed interest in her work.

Nowadays, when too much is published and too much time wasted on over-publicised and over-praised writers, many good novelists remain under-valued. I believe Miss Arnot Robertson was one of them. Most of us remember the pace and plot of Four Frightened People, but not much else. The Strangers on My Roof made me wonder what I may have missed in neglecting to read the intervening novels. The book has a compelling vividness and if the story does not amount to much, the background is memorable. An Englishwoman is. forced to leave her lover and accompany her husband to his appointment in Hong Kong. Her own sadness and loneliness give poignancy to her impressions of that packed, noisy, highly coloured colony that has suddenly been overwhelmed by crowds of refugees from Communist China. The refugees have to fight their way in an indifferent world. Chloe, the heroine, chooses to visit a Chinese tenement house and her impression of its conditions are likely to remain with the reader for a very long time.

A fortunate family might have a whole bunk to itself, but the tenancy .is for only half a day. The daylight .hours, or the night, must be spent trailing around the streets. One cannot doubt that the author has seen for herself the horde of starving babies crawling over a drugged, in- different mother; or the old man forced to sleep with his knees under his chin to make room for the work of a craftsman child. The English characters are thin and dull; one cannot care for their predicament, but the Chinese, with their ability to surmount poverty and their will to survive, are powerfully conveyed. Honuong, who rises, by sheer determination, from squalor and ends as an air-hostess, is a three-dimensional figure. Women writers, not having wives to pro- tect them, suffer more than men from the inter-

ruptions of daily routine, so many their best work late when families have grown up and prosperity admits more leisure. There is an incipient power in Miss Arnot Robertson's work and I think had she had time to develop further, she would have done bigger things.

Following this exposure of the human con- dition in Hong Kong, The Snow Ball seems scarcely to relate to life at all. It is a feu d'esprit in which the characters, dressed in eighteenth- century costume, escape from the ballroom to the car-park or the bed. The hostess is called Anne and the wife of her discarded first husband is called Anna. Confusion is inevitable, but it scarcely matters, for these people are all much alike and they all do the same thing. The action ping-pongs lightly over the old playboard called Sex, knocking up marks for a pretty wit, trickling uncertainly round the point 'Inner Meaning,' and making a sudden, unexpected, re- sounding score in the difficult runway called 'Sex in action.' Indeed, the novel only comes to life when Anna (dressed as Donna Anna) comes to grips in bed with her Don Giovanni. The critic is stopped in his tracks by the artistry and quality of this passage. I any inclined to think that it was written in an inspired moment, and all the rest tacked on to contain it. Anyway, I recommend it as a truer impress of The Act than the much-discussed passage in The Group.

Sleep Till Noon Day is a first novel that im- pressed me by its economy, pace and insight into character. The story, which has the impact of a thriller, is acted out against the grim and beauti- ful Snowdon Range where rock climbers take more-than-dangerous expeditions up vertical rock faces and quite often have to be helped down again. This is the only rock-climbing novel (I cannot pretend I have read many) that gave me a real understanding of this, to me, extraordinary passion. The solitary, ingrown character of the hero, a suspected killer, is well done and I can only hope that Mr. Purslow, having given us the heart of this matter, can explore other aspects of life equally well.